
Saturday, January 31, 2009

Rideau Canal: The Limit

Since I've been averaging about two hours a day on the canal since it opened on January first, I haven't had much time to post. And frankly, I'd much rather be skating on the canal than blogging about it! But while I've been skating, I've taken lots of photos! (In fact, I have few photos of anything else!)

So, as long as the canal is open this year, Images of Centretown will effectively be Images of the Rideau Canal. Going through hundreds of canal photos so far this year, I've decided to go by theme.

And I can't resist starting with my sky shots. This canal is really photogenic, you know. Especially at dusk.

Here's a shot from the pathway coming down towards Fifth avenue, with the sun behind and lots of skaters having fun on the fourth:

## Here the entry breaks off for materials data
/*
# CrGe2Au

A relaxed structure of CrGe2Au (PBE-GGA, Alexandria).

Cell lengths 4.481, 4.481, 4.481 Å; angles 60.00, 60.00, 60.00 degrees
Element x y z (fractional)
Au: 0.500 0.500 0.500
Ge: 0.750 0.750 0.750
Ge: 0.250 0.250 0.250
Cr: 0.000 0.000 0.000

Properties
E above lowest polymorph = 0.208 eV/atom
total moment = 0.000 Bohr magnetons per cell
calculated formation energy = 489 meV/atom
energy = -5.04 eV/atom

# CaIn2GaAu2

A relaxed structure of CaIn2GaAu2 (PBE-GGA, Alexandria).

Cell lengths 5.537, 5.537, 6.782 Å; angles 114.09, 114.09, 90.00 degrees
Element x y z (fractional)
Ca: 0.500 0.500 0.000
In: 0.250 0.750 0.500
In: 0.750 0.250 0.500
Au: 0.773 0.773 0.546
Au: 0.227 0.227 0.454
Ga: 0.000 0.000 0.000

Properties
total moment = 0.000 Bohr magnetons per cell
calculated formation energy = -157 meV/atom
energy = -3.00 eV/atom

# Gd2YSb

A relaxed structure of Gd2YSb (PBE-GGA, Alexandria).

Cell lengths 4.077, 4.077, 7.113 Å; angles 90.00, 90.00, 90.00 degrees
Element x y z (fractional)
Gd: 0.000 0.000 0.223
Gd: 0.000 0.000 0.777
Y: 0.500 0.500 0.500
Sb: 0.500 0.500 0.000

Properties
E above lowest polymorph = 0.000 eV/atom
total moment = 15.876 Bohr magnetons per cell
energy = -10.21 eV/atom

=====

# 1
The following is a DFT calculation (GGA-PBE) of a relaxed BeCuSiMo crystal.

Its total energy is -5.516 eV/atom. The polymorph energy (0 for the lowest one) is 34.6 kJ/mol of atoms. The space-group type is F-43m (216).

POSCAR file:
```
BeCuSiMo
1.0
0.000 2.903 2.903
2.903 0.000 2.903
2.903 2.903 0.000
Be Mo Cu Si
1 1 1 1
Cartesian
4.355 4.355 4.355
2.903 2.903 2.903
1.452 1.452 1.452
0.000 0.000 0.000
```

# 2
The following is a DFT calculation (GGA-PBE) of a relaxed Ag2Te2O5 crystal.

Its total energy is -4.563 eV/atom. The polymorph energy (0 for the lowest one) is 0.0 kJ/mol of atoms. The space-group type is P4/mmm (123).

POSCAR file:
```
Ag2Te2O5
1.0
7.251 0.000 0.000
0.000 4.176 0.000
0.000 0.000 4.176
Te O Ag
2 5 2
Cartesian
5.572 2.088 2.088
1.679 2.088 2.088
5.542 0.000 2.088
1.709 0.000 2.088
1.709 2.088 0.000
3.626 2.088 2.088
5.542 2.088 0.000
0.000 0.000 0.000
3.626 0.000 0.000
```

# 3
The following is a DFT calculation (GGA-PBE) of a relaxed DyIrI6 crystal.

Its total energy is -3.557 eV/atom. The space-group type is C2 (5).

POSCAR file:
```
DyIrI6
1.0
1.101 0.113 -7.223
-4.157 -5.227 2.966
-4.815 5.804 0.558
Ir I Dy
1 6 1
Cartesian
0.226 -0.775 -5.529
-2.326 -1.401 -4.845
-4.321 -3.556 -1.457
-6.193 0.380 -2.725
-5.315 2.453 1.180
-1.860 0.126 -0.622
-3.595 4.071 -2.632
-3.285 -4.342 1.276
```

# 4
The following is a DFT calculation (GGA-PBE) of a relaxed HfPt crystal.

Its total energy is -8.885 eV/atom. The space-group type is P6_3/mmc (194). As for the formation energy from the elements: -85 kJ/mol of atoms.

POSCAR file:
```
HfPt
1.0
3.724 0.000 0.000
-1.862 3.225 0.000
0.000 0.000 6.655
Hf Pt
2 2
Cartesian
0.000 0.000 3.328
0.000 0.000 0.000
0.000 2.150 1.664
1.862 1.075 4.991
```

=====

Material: B2RuWO
*/

A few days later, looking in roughly the opposite direction, a nice blue sky with fluffy clouds came out:

The moon came out to enjoy the canal as well. Here it is over Pig Island:

I was surprised that the moon followed me down to Immaculata High School the same night:

A few days later, it was really cold, but the rest of the canal had opened up. It was still pretty bumpy at Dow's Lake, especially along the south edge. Here it is, with the sun reflecting off the ice:

As dusk fell, the sky seemed to burn:

Night fell, and the moon hid behind some thin, stringy clouds around Clegg:

The following week, there was more cloud than open sky, but the moon managed to peek through again heading toward Hartwell's Lock:

And another week later (January 25), the sun burned white through the clouds over Centretown.

Extraneous shot for Woodsy: I've seen a few Pook Toques on the ice, including this one I photographed for you at Pretoria Bridge on January 8:

Other Canal themes I hope to post include night shots, snow, and bridges (Boy do the bridges over the canal take great photos!) We'll see if I can find time to post them!

Thursday, January 1, 2009

Rideau Canal Now Open! Timeline to 2009

The Rideau Canal has opened for the season, and what has become a bit of a personal tradition, I've gone out to enjoy the first day. While the parts abutting Centretown are not yet open, it's certainly something to go out and enjoy!

[Note: The Canal is only open from Pretoria Bridge to Bank Street, excluding the bridges and Patterson Creek. If you're coming on the South side from Bank, keep walking NE on Echo Drive until you get to the stairs down to Colonel By Drive at Pig Island (and similarly on the North side), as the stairs at Bank Street are on the closed side of the bridge.]

Before we get to today's shots, allow me to share some photos from the last couple of months that document preparations.

In October, the Canal was drained of water, exposing the ugly green algae coating much of the rock. Here's a shot of the algae with Lansdowne Park's Aberdeen Pavillion in the background:

This is when the chalets are installed.

Here are a bunch of them at Fifth Avenue.

In late November, they put gravel down at the stairways so that they would have a good fitting at the correct height.

This was when the canal started to ice over. Here's progress on Nature taking its course between the Corktown Footbridge and Laurier:

The ice was thick enough at this point to trap the debris beneath it, but thin enough to see that debris. The vines in this shot seem to be trying to push out. It was also neat to see leaves blowing across the surface of the ice (not pictured).

Fast forward to December 30th. The ice had been flooded and plowed, and just needed a couple more days of cold to compensate for a brief warm spell. Here a City plow clears the pathway alongside the canal, distributing salt from its trailer hopper:

And today the canal finally opened! In the afternoon, it got pretty crowded on the short stretch of ice that was open. Here's the crowd of people getting on at Pretoria Bridge (note the long line of boots along the wall!)

They were all getting on there because the Canal was only open from Pretoria to Bank (excluding the bridges and Patterson Creek):

The washrooms, however, were open. The washroom trailer at Fifth Avenue has a new ramp to be wheelchair accessible. The stairs next to it were also new and wider than the old ones (some of which are still in use at other entrances).

The skate sharpening/rental hut was also open. Don't let this pre-noon shot fool you--there were three or four lines over ten people deep to get in there in the afternoon!

And the yellowjackets were out in full force. The NCC officers, paramedics, and Skate Patrol were all out. Word is that more of the canal will open on the weekend, though I don't recall which stretch. I grabbed a photo of a pair of Patrollers heading into the sun (this photo has been altered slightly):

Altogether it was a fun day. I enjoyed getting out and getting some exercise. I'd have gotten a Beavertail, too, had the lineup not been halfway across the canal!

Next time...